____________
1.
{"formula": "C5H14N3", "method": "the ωB97M-V functional and the def2-TZVPD basis", "elements": ["C", "C", "C", "C", "C", "N", "N", "N", "H", "H", "H", "H", "H", "H", "H", "H", "H", "H", "H", "H", "H", "H"], "coordinates": [[-2.09390, -1.58348, 1.26897], [-1.31602, -0.68393, 0.35614], [-0.03929, -1.41218, 0.05234], [1.06127, -0.39019, -0.08412], [1.89389, -0.37850, -1.18430], [2.70531, 0.70685, -1.50639], [0.99462, 0.45875, 0.89860], [-1.09572, 2.73199, 0.08525], [-2.14083, -2.54688, 0.77910], [-3.06792, -1.22194, 1.52270], [-1.48008, -1.65137, 2.13079], [-1.81808, -0.38645, -0.57796], [-0.26801, -2.12677, -0.77378], [0.25655, -2.05589, 0.90192], [1.94419, -1.16265, -1.94808], [2.28269, 1.55813, -1.84092], [3.53382, 0.45738, -2.01765], [1.81642, 1.08403, 0.89699], [-1.02233, 3.64217, -0.34006], [-0.59073, 2.72793, 0.95178], [-0.98171, 0.20351, 0.92314], [-0.57413, 2.02947, -0.49446]], "total_energy_ev": -9872.4429, "max_force_ha_per_bohr": 0.0953, "homo_energy_ev": -13.3, "orbital_gap_ha": 0.2060, "total_charge": 1, "molar_mass_g_mol": 116.2}

2.
{"formula": "C5H14N3", "method": "the ωB97M-V functional and the def2-TZVPD basis", "elements": ["C", "C", "C", "C", "C", "N", "N", "N", "H", "H", "H", "H", "H", "H", "H", "H", "H", "H", "H", "H", "H", "H"], "coordinates": [[-0.11972, -2.72643, 1.24815], [0.33644, -1.59443, 0.35043], [-0.50847, -0.34438, 0.66672], [-0.27921, 0.82693, -0.30567], [-1.37347, 1.53340, -0.75750], [-1.32366, 2.74824, -1.30666], [1.01499, 1.16975, -0.74202], [1.79642, -1.27814, 0.64688], [0.04412, -3.73492, 0.88735], [0.32188, -2.61448, 2.24761], [-1.13274, -2.65129, 1.67320], [0.22546, -1.90719, -0.69202], [-1.55099, -0.69689, 0.66239], [-0.17958, 0.11435, 1.61620], [-2.39019, 1.16418, -0.79368], [-2.13357, 3.04145, -1.85004], [-0.48249, 3.23283, -1.59808], [1.35172, 2.08797, -0.42127], [1.12920, 1.33636, -1.74600], [1.99694, -0.40827, 0.10906], [1.90444, -1.00962, 1.63198], [2.43705, -2.06375, 0.50823]], "total_energy_ev": -9864.5055, "multiplicity": 2, "max_force_ha_per_bohr": 0.0558, "homo_energy_ev": [-18.3, -19.5], "orbital_gap_ha": [0.4049, 0.3225], "total_charge": 2, "molar_mass_g_mol": 116.2}

3.
{"formula": "C5H14N3Zn", "method": "the ωB97M-V functional and the def2-TZVPD basis", "elements": ["C", "Zn", "N", "H", "H", "H", "H", "H", "H", "H", "H", "C", "N", "C", "C", "N", "C", "H", "H", "H", "H", "H", "H"], "coordinates": [[0.72865, 1.96194, -0.48454], [-0.19621, 0.09912, -0.30331], [-2.03789, 0.74147, -0.58168], [1.36936, -0.34847, -0.14851], [1.18540, -0.34377, -1.01065], [1.78654, 1.82164, -0.63543], [0.54223, 2.57809, 0.38694], [0.26409, 2.36946, -1.37395], [-2.57152, 0.64558, 0.27869], [-2.33005, 0.08647, -1.30341], [-1.98203, 1.70045, -0.92246], [-1.53233, -5.11238, 0.73749], [-1.52881, -3.70014, 0.93770], [-2.28704, -2.97737, 1.82682], [-1.98567, -1.65880, 1.69951], [-1.04878, -1.58601, 0.66378], [-0.75118, -2.83482, 0.23249], [-1.26739, -5.63314, 1.65952], [-2.52227, -5.45892, 0.43248], [-0.81589, -5.37333, -0.03372], [-2.98701, -3.46717, 2.47741], [-2.33032, -0.76913, 2.25164], [-0.02907, -3.13664, -0.51739]], "total_energy_ev": -58294.6158, "max_force_ha_per_bohr": 0.0586, "homo_energy_ev": [-0.9, 0.5], "orbital_gap_ha": [0.1327, 0.0782], "total_charge": -1, "molar_mass_g_mol": 181.6}

4.
____________

Restate every line further up that contains the word "method".

{"formula": "C5H14N3", "method": "the ωB97M-V functional and the def2-TZVPD basis", "elements": ["C", "C", "C", "C", "C", "N", "N", "N", "H", "H", "H", "H", "H", "H", "H", "H", "H", "H", "H", "H", "H", "H"], "coordinates": [[-2.09390, -1.58348, 1.26897], [-1.31602, -0.68393, 0.35614], [-0.03929, -1.41218, 0.05234], [1.06127, -0.39019, -0.08412], [1.89389, -0.37850, -1.18430], [2.70531, 0.70685, -1.50639], [0.99462, 0.45875, 0.89860], [-1.09572, 2.73199, 0.08525], [-2.14083, -2.54688, 0.77910], [-3.06792, -1.22194, 1.52270], [-1.48008, -1.65137, 2.13079], [-1.81808, -0.38645, -0.57796], [-0.26801, -2.12677, -0.77378], [0.25655, -2.05589, 0.90192], [1.94419, -1.16265, -1.94808], [2.28269, 1.55813, -1.84092], [3.53382, 0.45738, -2.01765], [1.81642, 1.08403, 0.89699], [-1.02233, 3.64217, -0.34006], [-0.59073, 2.72793, 0.95178], [-0.98171, 0.20351, 0.92314], [-0.57413, 2.02947, -0.49446]], "total_energy_ev": -9872.4429, "max_force_ha_per_bohr": 0.0953, "homo_energy_ev": -13.3, "orbital_gap_ha": 0.2060, "total_charge": 1, "molar_mass_g_mol": 116.2}
{"formula": "C5H14N3", "method": "the ωB97M-V functional and the def2-TZVPD basis", "elements": ["C", "C", "C", "C", "C", "N", "N", "N", "H", "H", "H", "H", "H", "H", "H", "H", "H", "H", "H", "H", "H", "H"], "coordinates": [[-0.11972, -2.72643, 1.24815], [0.33644, -1.59443, 0.35043], [-0.50847, -0.34438, 0.66672], [-0.27921, 0.82693, -0.30567], [-1.37347, 1.53340, -0.75750], [-1.32366, 2.74824, -1.30666], [1.01499, 1.16975, -0.74202], [1.79642, -1.27814, 0.64688], [0.04412, -3.73492, 0.88735], [0.32188, -2.61448, 2.24761], [-1.13274, -2.65129, 1.67320], [0.22546, -1.90719, -0.69202], [-1.55099, -0.69689, 0.66239], [-0.17958, 0.11435, 1.61620], [-2.39019, 1.16418, -0.79368], [-2.13357, 3.04145, -1.85004], [-0.48249, 3.23283, -1.59808], [1.35172, 2.08797, -0.42127], [1.12920, 1.33636, -1.74600], [1.99694, -0.40827, 0.10906], [1.90444, -1.00962, 1.63198], [2.43705, -2.06375, 0.50823]], "total_energy_ev": -9864.5055, "multiplicity": 2, "max_force_ha_per_bohr": 0.0558, "homo_energy_ev": [-18.3, -19.5], "orbital_gap_ha": [0.4049, 0.3225], "total_charge": 2, "molar_mass_g_mol": 116.2}
{"formula": "C5H14N3Zn", "method": "the ωB97M-V functional and the def2-TZVPD basis", "elements": ["C", "Zn", "N", "H", "H", "H", "H", "H", "H", "H", "H", "C", "N", "C", "C", "N", "C", "H", "H", "H", "H", "H", "H"], "coordinates": [[0.72865, 1.96194, -0.48454], [-0.19621, 0.09912, -0.30331], [-2.03789, 0.74147, -0.58168], [1.36936, -0.34847, -0.14851], [1.18540, -0.34377, -1.01065], [1.78654, 1.82164, -0.63543], [0.54223, 2.57809, 0.38694], [0.26409, 2.36946, -1.37395], [-2.57152, 0.64558, 0.27869], [-2.33005, 0.08647, -1.30341], [-1.98203, 1.70045, -0.92246], [-1.53233, -5.11238, 0.73749], [-1.52881, -3.70014, 0.93770], [-2.28704, -2.97737, 1.82682], [-1.98567, -1.65880, 1.69951], [-1.04878, -1.58601, 0.66378], [-0.75118, -2.83482, 0.23249], [-1.26739, -5.63314, 1.65952], [-2.52227, -5.45892, 0.43248], [-0.81589, -5.37333, -0.03372], [-2.98701, -3.46717, 2.47741], [-2.33032, -0.76913, 2.25164], [-0.02907, -3.13664, -0.51739]], "total_energy_ev": -58294.6158, "max_force_ha_per_bohr": 0.0586, "homo_energy_ev": [-0.9, 0.5], "orbital_gap_ha": [0.1327, 0.0782], "total_charge": -1, "molar_mass_g_mol": 181.6}